(Work order)
Now echo everything underneath verbatim.

(Given)
# C33H86Cl6O30S10

A cluster of 13 separate species, C33H86Cl6O30S10 in total (wB97M-V/def2-TZVPD, OMol25).

LUMO	0.26	eV
total energy	-10309.01200	hartree
spin multiplicity	1
HOMO-LUMO gap	10.85	eV
total charge	0
highest occupied orbital energy	-10.584	eV

Element x y z (Å)
Cl1 -0.25 -2.69 -3.74
Cl2 -1.94 -5.15 3.56
Cl3 -3.35 0.25 4.54
Cl4 0.26 -4.48 -5.99
Cl5 -3.99 -3.55 2.24
Cl6 -4.14 2.87 3.23
S1 2.51 -3.26 -0.26
S2 5.56 -1.63 3.12
S3 -1.54 4.34 -1.59
S4 1.42 0.72 5.56
S5 0.95 5.04 3.29
S6 2.14 1.93 -4.53
S7 -5.84 -2.76 -5.69
S8 -3.36 -4.37 -1.96
S9 0.24 0.18 1.32
S10 -4.04 1.07 -1.77
O1 1.18 1.37 0.98
O2 -4.21 -5.44 -1.25
O3 -6.23 -2.15 -6.91
O4 -1.23 3.39 -0.53
O5 3.84 -3.43 0.58
O6 6.44 -0.65 3.95
O7 3.32 0.95 -4.80
O8 2.38 -1.89 -0.57
O9 2.42 -4.09 -1.45
O10 -4.45 -2.15 -5.22
O11 -6.69 -2.68 -4.54
O12 -3.13 -4.73 -3.35
O13 -2.85 4.89 -1.62
O14 -0.82 0.81 2.07
O15 1.00 -0.81 2.01
O16 2.09 2.38 -3.18
O17 -2.90 0.27 -2.22
O18 5.08 -2.63 4.04
O19 -5.41 0.62 -1.96
O20 1.79 4.99 2.08
O21 2.80 0.74 6.02
O22 0.44 6.32 3.70
O23 1.06 1.58 4.45
O24 0.44 0.92 6.79
O25 2.07 2.88 -5.63
O26 1.73 4.41 4.47
O27 -2.17 -4.31 -1.14
O28 6.29 -2.11 2.03
O29 -3.81 2.50 -2.50
O30 -0.52 5.51 -1.47
C1 0.47 -4.25 -4.26
C2 3.89 -5.46 1.94
C3 0.78 0.83 -4.76
C4 3.21 4.33 4.38
C5 1.71 6.45 -1.32
C6 -2.86 -4.91 2.00
C7 5.95 1.31 5.29
C8 0.05 2.35 7.05
C9 -0.38 3.97 3.02
C10 3.79 5.34 5.41
C11 2.25 1.21 0.03
C12 -4.57 4.05 -4.11
C13 1.06 3.04 7.88
C14 -2.95 1.96 4.19
C15 3.23 2.32 0.40
C16 4.21 -0.60 2.57
C17 -3.45 -1.84 -6.20
C18 -1.03 3.68 -3.21
C19 -5.40 -4.47 -6.00
C20 4.50 -4.68 0.76
C21 0.74 -0.85 5.17
C22 -2.83 -0.50 -5.91
C23 -3.73 1.52 -0.05
C24 -4.31 -2.94 -1.91
C25 -0.45 -0.40 -0.14
C26 5.85 -0.17 5.23
C27 -4.70 -7.59 -2.26
C28 3.53 -1.25 -3.77
C29 1.21 -3.83 0.81
C30 -5.09 3.18 -2.99
C31 -5.27 -6.24 -1.95
C32 0.91 5.17 -1.37
C33 3.92 0.28 -3.66
H1 3.61 6.40 5.18
H2 -2.74 -2.66 -6.10
H3 -1.70 2.84 -3.43
H4 2.65 -1.48 -3.19
H5 3.58 0.83 -2.76
H6 1.99 3.16 7.25
H7 -0.64 0.45 -0.78
H8 -1.21 4.38 -4.05
H9 1.18 2.45 8.80
H10 5.43 1.66 6.20
H11 -2.71 1.92 -0.03
H12 1.95 1.43 -1.01
H13 -6.06 -6.19 -1.21
H14 -0.11 1.41 -4.87
H15 -3.39 -5.81 1.77
H16 0.60 4.02 8.19
H17 -5.16 -4.86 -4.98
H18 -1.02 4.37 2.24
H19 -6.29 -4.95 -6.36
H20 -3.51 0.33 -6.09
H21 -4.59 5.07 -3.91
H22 5.34 1.87 4.58
H23 0.23 -3.75 0.29
H24 0.06 3.03 2.80
H25 0.65 -0.01 -4.06
H26 -0.90 2.25 7.54
H27 0.02 3.31 -3.25
H28 -5.14 -8.10 -3.14
H29 -5.22 -3.00 -2.47
H30 6.97 1.61 5.40
H31 -0.92 3.96 3.95
H32 -5.48 3.73 -2.15
H33 -4.59 -2.75 -0.82
H34 3.79 -0.04 3.43
H35 1.44 -4.83 1.08
H36 -3.58 3.70 -4.38
H37 1.15 -3.23 1.72
H38 -3.76 -2.11 -2.35
H39 1.52 7.04 -2.16
H40 2.80 6.13 -1.29
H41 2.76 3.30 0.24
H42 3.81 -4.67 2.71
H43 1.57 -4.24 -4.03
H44 -0.24 -0.79 4.81
H45 -0.10 -5.09 -3.82
H46 2.64 0.20 0.05
H47 -5.75 2.36 -3.31
H48 5.00 0.46 -3.81
H49 3.43 3.23 4.52
H50 5.50 -4.36 0.86
H51 -5.17 3.99 -4.98
H52 3.48 -1.21 2.06
H53 4.48 0.08 1.76
H54 -2.61 -0.43 -4.81
H55 -3.60 -7.53 -2.46
H56 3.50 2.32 1.43
H57 3.57 4.63 3.43
H58 -3.82 -1.77 -7.25
H59 -2.05 1.98 3.69
H60 -2.21 -4.62 1.15
H61 3.30 5.17 6.35
H62 4.40 -1.84 -3.47
H63 -4.53 -4.61 -6.57
H64 1.00 4.59 -0.45
H65 1.41 -1.35 4.43
H66 0.27 -1.06 -0.65
H67 4.08 2.43 -0.30
H68 3.39 -1.49 -4.81
H69 1.12 4.53 -2.26
H70 -5.63 -5.75 -2.91
H71 0.76 -1.46 6.07
H72 -4.72 -8.29 -1.39
H73 4.42 -5.18 -0.19
H74 4.86 -0.61 5.40
H75 4.58 -6.29 2.25
H76 -2.93 2.53 5.14
H77 -1.92 -0.34 -6.45
H78 -0.12 2.76 6.07
H79 -3.67 0.52 0.33
H80 -4.54 2.17 0.38
H81 0.96 0.29 -5.77
H82 -1.45 -0.80 0.01
H83 6.43 -0.66 5.95
H84 1.45 7.04 -0.43
H85 4.94 5.24 5.35
H86 3.00 -5.99 1.68


No. 1
Computed, not measured: a molecular structure, C29H31N6OPtS5 at a distorted geometry, with wB97M-V/def2-TZVPD.

XYZ file:
```
73
Properties=species:S:1:pos:R:3:forces:R:3:mulliken_charge:R:1
Pt 0.5186 0.8912 -0.1022 0.8 0.0 0.0 2.859
C 3.1857 2.5655 0.2584 0.3 0.5 0.0 -1.174
N 2.9011 1.1380 0.0727 -1.0 0.5 -0.4 0.501
C 3.4236 0.6111 -1.1839 -0.1 -0.2 -0.6 -1.140

(Done)
# C33H86Cl6O30S10

A cluster of 13 separate species, C33H86Cl6O30S10 in total (wB97M-V/def2-TZVPD, OMol25).

LUMO	0.26	eV
total energy	-10309.01200	hartree
spin multiplicity	1
HOMO-LUMO gap	10.85	eV
total charge	0
highest occupied orbital energy	-10.584	eV

Element x y z (Å)
Cl1 -0.25 -2.69 -3.74
Cl2 -1.94 -5.15 3.56
Cl3 -3.35 0.25 4.54
Cl4 0.26 -4.48 -5.99
Cl5 -3.99 -3.55 2.24
Cl6 -4.14 2.87 3.23
S1 2.51 -3.26 -0.26
S2 5.56 -1.63 3.12
S3 -1.54 4.34 -1.59
S4 1.42 0.72 5.56
S5 0.95 5.04 3.29
S6 2.14 1.93 -4.53
S7 -5.84 -2.76 -5.69
S8 -3.36 -4.37 -1.96
S9 0.24 0.18 1.32
S10 -4.04 1.07 -1.77
O1 1.18 1.37 0.98
O2 -4.21 -5.44 -1.25
O3 -6.23 -2.15 -6.91
O4 -1.23 3.39 -0.53
O5 3.84 -3.43 0.58
O6 6.44 -0.65 3.95
O7 3.32 0.95 -4.80
O8 2.38 -1.89 -0.57
O9 2.42 -4.09 -1.45
O10 -4.45 -2.15 -5.22
O11 -6.69 -2.68 -4.54
O12 -3.13 -4.73 -3.35
O13 -2.85 4.89 -1.62
O14 -0.82 0.81 2.07
O15 1.00 -0.81 2.01
O16 2.09 2.38 -3.18
O17 -2.90 0.27 -2.22
O18 5.08 -2.63 4.04
O19 -5.41 0.62 -1.96
O20 1.79 4.99 2.08
O21 2.80 0.74 6.02
O22 0.44 6.32 3.70
O23 1.06 1.58 4.45
O24 0.44 0.92 6.79
O25 2.07 2.88 -5.63
O26 1.73 4.41 4.47
O27 -2.17 -4.31 -1.14
O28 6.29 -2.11 2.03
O29 -3.81 2.50 -2.50
O30 -0.52 5.51 -1.47
C1 0.47 -4.25 -4.26
C2 3.89 -5.46 1.94
C3 0.78 0.83 -4.76
C4 3.21 4.33 4.38
C5 1.71 6.45 -1.32
C6 -2.86 -4.91 2.00
C7 5.95 1.31 5.29
C8 0.05 2.35 7.05
C9 -0.38 3.97 3.02
C10 3.79 5.34 5.41
C11 2.25 1.21 0.03
C12 -4.57 4.05 -4.11
C13 1.06 3.04 7.88
C14 -2.95 1.96 4.19
C15 3.23 2.32 0.40
C16 4.21 -0.60 2.57
C17 -3.45 -1.84 -6.20
C18 -1.03 3.68 -3.21
C19 -5.40 -4.47 -6.00
C20 4.50 -4.68 0.76
C21 0.74 -0.85 5.17
C22 -2.83 -0.50 -5.91
C23 -3.73 1.52 -0.05
C24 -4.31 -2.94 -1.91
C25 -0.45 -0.40 -0.14
C26 5.85 -0.17 5.23
C27 -4.70 -7.59 -2.26
C28 3.53 -1.25 -3.77
C29 1.21 -3.83 0.81
C30 -5.09 3.18 -2.99
C31 -5.27 -6.24 -1.95
C32 0.91 5.17 -1.37
C33 3.92 0.28 -3.66
H1 3.61 6.40 5.18
H2 -2.74 -2.66 -6.10
H3 -1.70 2.84 -3.43
H4 2.65 -1.48 -3.19
H5 3.58 0.83 -2.76
H6 1.99 3.16 7.25
H7 -0.64 0.45 -0.78
H8 -1.21 4.38 -4.05
H9 1.18 2.45 8.80
H10 5.43 1.66 6.20
H11 -2.71 1.92 -0.03
H12 1.95 1.43 -1.01
H13 -6.06 -6.19 -1.21
H14 -0.11 1.41 -4.87
H15 -3.39 -5.81 1.77
H16 0.60 4.02 8.19
H17 -5.16 -4.86 -4.98
H18 -1.02 4.37 2.24
H19 -6.29 -4.95 -6.36
H20 -3.51 0.33 -6.09
H21 -4.59 5.07 -3.91
H22 5.34 1.87 4.58
H23 0.23 -3.75 0.29
H24 0.06 3.03 2.80
H25 0.65 -0.01 -4.06
H26 -0.90 2.25 7.54
H27 0.02 3.31 -3.25
H28 -5.14 -8.10 -3.14
H29 -5.22 -3.00 -2.47
H30 6.97 1.61 5.40
H31 -0.92 3.96 3.95
H32 -5.48 3.73 -2.15
H33 -4.59 -2.75 -0.82
H34 3.79 -0.04 3.43
H35 1.44 -4.83 1.08
H36 -3.58 3.70 -4.38
H37 1.15 -3.23 1.72
H38 -3.76 -2.11 -2.35
H39 1.52 7.04 -2.16
H40 2.80 6.13 -1.29
H41 2.76 3.30 0.24
H42 3.81 -4.67 2.71
H43 1.57 -4.24 -4.03
H44 -0.24 -0.79 4.81
H45 -0.10 -5.09 -3.82
H46 2.64 0.20 0.05
H47 -5.75 2.36 -3.31
H48 5.00 0.46 -3.81
H49 3.43 3.23 4.52
H50 5.50 -4.36 0.86
H51 -5.17 3.99 -4.98
H52 3.48 -1.21 2.06
H53 4.48 0.08 1.76
H54 -2.61 -0.43 -4.81
H55 -3.60 -7.53 -2.46
H56 3.50 2.32 1.43
H57 3.57 4.63 3.43
H58 -3.82 -1.77 -7.25
H59 -2.05 1.98 3.69
H60 -2.21 -4.62 1.15
H61 3.30 5.17 6.35
H62 4.40 -1.84 -3.47
H63 -4.53 -4.61 -6.57
H64 1.00 4.59 -0.45
H65 1.41 -1.35 4.43
H66 0.27 -1.06 -0.65
H67 4.08 2.43 -0.30
H68 3.39 -1.49 -4.81
H69 1.12 4.53 -2.26
H70 -5.63 -5.75 -2.91
H71 0.76 -1.46 6.07
H72 -4.72 -8.29 -1.39
H73 4.42 -5.18 -0.19
H74 4.86 -0.61 5.40
H75 4.58 -6.29 2.25
H76 -2.93 2.53 5.14
H77 -1.92 -0.34 -6.45
H78 -0.12 2.76 6.07
H79 -3.67 0.52 0.33
H80 -4.54 2.17 0.38
H81 0.96 0.29 -5.77
H82 -1.45 -0.80 0.01
H83 6.43 -0.66 5.95
H84 1.45 7.04 -0.43
H85 4.94 5.24 5.35
H86 3.00 -5.99 1.68


No. 1
Computed, not measured: a molecular structure, C29H31N6OPtS5 at a distorted geometry, with wB97M-V/def2-TZVPD.

XYZ file:
```
73
Properties=species:S:1:pos:R:3:forces:R:3:mulliken_charge:R:1
Pt 0.5186 0.8912 -0.1022 0.8 0.0 0.0 2.859
C 3.1857 2.5655 0.2584 0.3 0.5 0.0 -1.174
N 2.9011 1.1380 0.0727 -1.0 0.5 -0.4 0.501
C 3.4236 0.6111 -1.1839 -0.1 -0.2 -0.6 -1.140